File No. 600.119/365

The British Embassy to the Department of State


The British Government understands that the Government of the United States wishes to secure identity of policy between the two Governments in matters of export restrictions. For this purpose two distinct measures appear to be necessary, namely:

**Misplaced records of molecules:**
- - -
Entry 1:
The following is a DFT calculation (ωB97M-V/def2-TZVPD) of an isolated molecule of C17H27NO2.

XYZ file:
```
47
Properties=species:S:1:pos:R:3:nbo_charge:R:1
C -3.925 -1.674 1.802 -0.609
C -2.932 -2.527 1.020 -0.395
C -3.081 -2.391 -0.497 -0.387
C -2.839 -0.983 -1.044 -0.402
C -1.412 -0.487 -0.816 -0.405
C -1.106 0.818 -1.554 -0.399
C -1.923 2.027 -1.092 -0.390
C -1.688 2.452 0.364 -0.498
C -0.294 3.025 0.535 0.683
O -0.032 4.198 0.376 -0.631
N 0.642 2.113 0.905 -0.622
C 2.048 2.440 0.903 -0.260
C 2.664 2.209 -0.486 -0.080
O 2.440 0.896 -0.954 -0.523
C 3.159 -0.147 -0.443 0.381
C 4.236 -0.038 0.428 -0.340
C 4.891 -1.181 0.857 -0.173
C 4.485 -2.433 0.434 -0.250
C 3.411 -2.542 -0.435 -0.187
C 2.753 -1.412 -0.871 -0.288
H -3.736 -0.614 1.655 0.197
H -4.943 -1.889 1.484 0.202
H -3.847 -1.886 2.866 0.211
H -3.089 -3.576 1.282 0.202
H -1.914 -2.269 1.317 0.193
H -2.383 -3.081 -0.977 0.198
H -4.092 -2.700 -0.775 0.198
H -3.037 -0.996 -2.119 0.203
H -3.550 -0.293 -0.589 0.195
H -1.237 -0.363 0.254 0.182
H -0.716 -1.252 -1.171 0.203
H -1.308 0.667 -2.618 0.204
H -0.040 1.038 -1.462 0.213
H -1.679 2.877 -1.735 0.217
H -2.986 1.815 -1.224 0.204
H -2.399 3.241 0.613 0.238
H -1.844 1.614 1.043 0.205
H 0.412 1.133 0.848 0.398
H 2.141 3.498 1.158 0.240
H 2.549 1.829 1.658 0.204
H 3.730 2.461 -0.485 0.179
H 2.152 2.850 -1.209 0.209
H 4.582 0.924 0.773 0.217
H 5.729 -1.084 1.531 0.213
H 5.001 -3.317 0.777 0.214
H 3.086 -3.514 -0.776 0.215
H 1.919 -1.476 -1.553 0.221
```

As for the frontier orbital gap: 0.3490 hartree. The value obtained for the strongest force on any atom is 0.66 eV/Å. For the HOMO energy, the calculation gives -8.7 eV. The calculation puts the lowest unoccupied orbital energy at 0.029 hartree. For the energy above the lowest of the compared OMol25 structures with the same formula, charge and spin, the calculation gives 0.2591 eV. Its net charge is 0.

***

Entry 2:
The following is a DFT calculation (ωB97M-V/def2-TZVPD) of an isolated molecule of C20H17BF3N5O3 in a non-equilibrium geometry.

XYZ file:
```
49
Properties=species:S:1:pos:R:3:nbo_charge:R:1
C -4.173 2.429 -0.233 -0.279
C -3.243 2.792 -1.122 -0.319
C -1.914 2.116 -1.204 0.673
O -1.756 1.043 -0.698 -0.590
N -0.893 2.800 -1.961 -0.621
C 0.457 2.510 -1.746 0.186
C 1.482 3.096 -2.488 -0.273
C 2.824 2.880 -2.157 -0.202
C 3.140 2.096 -1.108 -0.209
C 2.151 1.447 -0.330 0.179
N 2.557 0.575 0.674 -0.574
C 1.887 -0.081 1.708 0.476
N 0.750 -0.699 1.536 -0.520
C 0.255 -1.317 2.608 0.598
N -1.018 -1.988 2.409 -0.603
C -1.599 -2.390 1.160 0.176
C -2.655 -3.310 1.149 -0.255
C -3.075 -3.806 -0.050 -0.187
C -2.386 -3.589 -1.227 -0.220
C -1.470 -2.605 -1.266 -0.345
B -0.950 -2.097 -2.656 1.109
O -0.641 -3.105 -3.558 -0.870
O -0.758 -0.751 -2.909 -0.920
C -0.973 -2.027 -0.061 -0.238
N 0.811 -1.463 3.775 -0.511
C 2.008 -0.869 3.948 0.122
C 2.621 -0.152 2.950 -0.304
C 4.070 0.296 3.110 0.976
F 4.434 0.139 4.359 -0.307
F 4.235 1.555 2.760 -0.314
F 4.821 -0.489 2.348 -0.321
- - -

The co-ordination of the licensing policy of the two Governments, and
The co-ordination of that licensing policy with the naval action of the two Governments under international maritime law.

As regards (1) the British Government has suspended licenses for export from the United Kingdom on all articles embargoed by the Government of the United States and will continue to do so as the United States list of prohibited exports is enlarged. Before, however, complete co-ordination can take place it will be necessary that the prohibited exports lists of the two Governments shall be made as nearly as possible identical. The British list now covers practically all articles whatever, so far as the northern European neutrals are concerned. When the two lists are identical, the British Government will wish to continue certain exports to the northern neutrals from the United Kingdom, the most important of which are coal to Norway and Denmark, munition materials to firms manufacturing munitions for the Allies in Norway and Sweden, margarine materials to Holland [Page 929] in return for Dutch margarine exported to the United Kingdom, and possibly certain textile goods, etc., exported to these neutrals for the purpose of maintaining exchange to counterbalance expenditures in purchasing the native produce of these neutrals, these expenditures being at present necessary, in the absence of proper prohibitions of export in these neutral countries, in order to keep the produce from flowing to Germany. These continued exports the British Government wishes however to submit to the Government of the United States for their opinion and judgment. Consultation will be necessary for this purpose and, in so far as this consultation involves the expression of an opinion by the Government of the United States on the export policy of Great Britain, the British Government would be glad of an opportunity for regular consultation in London. The same applies to the export policy of the other European Allies, notably the export policy of Russia as towards Sweden and that of Italy towards Switzerland. (Swiss questions are centered in Paris, not London.) It is assumed that the Government of the United States—the United States being now by far the largest exporter to these neutral countries—will wish similarly to consider the grant of certain licenses for export from the United States, either for reasons of domestic policy or because they consider that such exports will be advisable on international grounds. They will doubtless be willing to discuss their policy in this respect and for this purpose the British Government will make adequate provision for such consultation at Washington, if the Government of the United States so desires.

Someone pasted quantum chemistry results at this point.
'''
Entry 1
This record from OMol25 describes a structure of composition C28H27N5O2Ti. The level of theory is ωB97M-V with the def2-TZVPD basis set.

```
63
Properties=species:S:1:pos:R:3:lowdin_spin:R:1
Ti 0.41956 -0.41702 0.05419 1.019
O 4.13933 1.04564 0.55259 -0.001
C 3.20477 0.29001 0.39897 0.001
N 2.05416 0.34426 1.08027 -0.004
C 1.83372 1.61527 1.67010 0.001
C 1.47279 2.64549 0.56198 0.003
C 1.61757 4.01199 0.68888 0.000
C 1.32812 4.90504 -0.34553 0.002
C 0.90182 4.33669 -1.52349 0.000
C 0.74428 2.96099 -1.56761 0.003
N 0.99288 2.06578 -0.57596 0.005
C 3.28984 -0.75828 -0.66172 0.010
C 4.52893 -1.15148 -1.12980 -0.002
C 4.61408 -2.11969 -2.13493 0.011
C 3.39793 -2.65742 -2.53942 -0.002
C 2.20154 -2.21850 -1.93513 0.013
N 2.12657 -1.26334 -0.98219 0.009
H 0.95949 1.52452 2.34429 0.000
H 2.70949 2.00557 2.14892 0.000
H 2.02194 4.43261 1.60591 0.000
H 1.45556 5.99899 -0.25048 0.000
H 0.61372 4.94434 -2.40695 0.000
H 0.31926 2.53469 -2.44596 0.000
H 5.37096 -0.66152 -0.63714 0.000
H 5.55648 -2.52820 -2.49065 0.001
H 3.31310 -3.36869 -3.35348 0.000
H 1.23871 -2.66915 -2.18738 0.001
C -3.53151 1.92694 -2.55679 0.024
C -4.07882 0.93710 -1.77025 0.000
C -3.33147 -0.12014 -1.31122 0.023
C -1.95641 -0.25319 -1.69106 0.009
C -1.45095 0.66321 -2.56652 0.025
C -2.18244 1.79951 -2.91627 -0.003
N -1.11609 -1.20370 -1.12186 0.161
N -1.75101 -2.33681 -0.76708 0.445
C -0.92411 -3.10642 0.08448 0.017
C -1.24306 -4.47502 0.34623 0.052
C -0.44536 -5.26747 1.13749 0.004
C 0.69274 -4.69629 1.71846 0.068
C 0.89329 -3.35264 1.54226 0.001
C 0.17421 -2.48688 0.70930 0.058
H -4.13860 2.77056 -2.93189 0.002
H -5.08067 1.01075 -1.34244 0.000
H -3.80276 -0.77655 -0.63228 0.002
H -0.41913 0.62436 -2.92462 0.003
H -1.79876 2.61210 -3.55156 -0.001
H -2.13094 -4.98494 -0.05980 0.002
H -0.76657 -6.31338 1.30270 -0.001
H 1.42009 -5.35385 2.20090 0.004
H 1.81790 -2.97762 1.98330 -0.002
C -2.43098 1.62561 2.88240 0.000
C -2.86450 0.15394 2.96902 0.001
C -1.72625 -0.60453 2.28151 0.007
O -1.09638 0.37603 1.44032 0.023
C -1.54161 1.69277 1.64918 0.003
H -1.83868 1.94127 3.74551 0.000
H -3.24623 2.33423 2.70059 0.000
H -3.84634 -0.00101 2.54155 0.000
H -2.98490 -0.15111 3.99022 0.000
H -2.12615 -1.30941 1.59039 0.002
H -0.96730 -0.94044 2.93542 0.002
H -1.93670 2.05218 0.67170 0.000
H -0.67009 2.34222 1.78244 0.000
```

**<S²>**: 2.019
**Gap between HOMO and LUMO (alpha / beta)**: 6.28 / 7.80 eV
**Multiplicity**: 3
**Net charge**: 0

Entry 2
This record from OMol25 describes a structure of composition C28H27N5O2Ti. The level of theory is ωB97M-V with the def2-TZVPD basis set.

```
63
Properties=species:S:1:pos:R:3:lowdin_spin:R:1
Ti 11.44994 8.05867 12.87590 1.005
O 11.50214 12.18418 12.80124 0.020
C 11.83294 11.00651 12.94888 0.007
N 11.06934 9.97716 13.38115 0.003
C 9.88571 10.21338 14.16685 0.004
C 10.03357 9.25997 15.33100 0.007
C 9.32267 9.43391 16.54933 -0.002
C 9.54958 8.52524 17.60881 0.006
C 10.55112 7.55401 17.44408 -0.001
C 11.12594 7.37022 16.17512 0.008
'''

As regards (2), naval action is at present embodied in two British measures—the issue of letters of assurance and the examination of ships at Halifax or Kingston. Letters of assurance are a substitute for export licenses in the case of goods not yet subject to license, and also a passport for the guidance of the naval officer at the port of examination. In the first aspect, their purpose will vanish when the United States list of prohibited exports is made comprehensive, and when the co-ordination of the export policy of the two Governments has been attained, by consultation in London and Washington. In the second aspect, their fate depends to a certain extent on the decision as to the continuance of naval examination at Halifax and Kingston. That examination has three objects: (1) the search of the ship for the purpose of detecting smuggling, conveyance of clandestine correspondence, and undesirable passengers or members of the crew, etc., etc.; (2) the use of detention of ships at the port of examination as a lever to enforce proper behaviour on the part of neutrals; and (3) any detention necessary in connection with naval and military operation, especially in the North Sea or Mediterranean. The abandonment of such examination cannot, therefore, well take place until (1) arrangements can [Page 930] be made for thorough examination at the port of departure, this examination including not only the checking of the cargo, but a thorough search of the ship herself, satisfactory to the naval as well as to the customs authorities, on the basis of proper interchange of information between the Intelligence Departments of the Governments concerned; (2) the provision of some machinery for co-ordinating, the international, as well as the domestic export, policy of those associated in the war against Germany; and (3) full interchange of information as to naval and military operations. (1) and (3) need no further discussion, though the setting up of much complicated machinery is clearly required. In regard to (2) the following points should be borne in mind. This department of international policy requires not only economic knowledge, but also the fullest information as to the political, naval and military situation in Europe. As methods of consultation in London and Washington have been proposed above, corresponding respectively to the discussion of British and Allied export policy and of United States export policy, so similar dual methods of consultation appear advisable for the discussion of those aspects of international policy involved respectively in the detention of neutral ships by the British naval forces and in the grant of clearance papers to neutral ships by the Government of the United States. Further, it must be remembered that the call at Halifax is imposed on ships coming from other than United States ports, notably ships coming from the Plate, and the British Government would be glad to agree with the United States Government as to the method by which such ships should be now controlled. It is clear that examination at Halifax may still be necessary for naval and military reasons, even after the economic policy of the two Governments has been fully co-ordinated, until such time as adequate naval and military co-ordination can be secured. But even if this is the case, the British Government stands ready, as was explained to the Department of State about the beginning of June, to give an assurance to neutrals that, except for naval and military reasons, ships whose cargo has been approved at the port of departure shall not be detained at Halifax more than (say) from twenty-four to forty-eight hours.

== Someone pasted quantum chemistry results at this point ==
/*
Record 1
The following is a DFT calculation (ωB97M-V/def2-TZVPD) of 14 unconnected molecules or ions with the total composition C5H38O13.

Each line ends with the Löwdin charge.
Positions of all 56 atoms, in Å:
O -0.580 0.965 4.442  -0.06
O -1.115 3.703 3.274  -0.07
O -2.902 -2.349 0.061  -0.03
O -3.660 0.399 0.957  -0.05
O 1.263 2.880 1.878  -0.10
O 3.088 1.420 -2.239  -0.06
O 0.418 1.789 -2.368  -0.07
O -1.059 1.810 1.425  -0.10
O 3.374 1.247 0.500  -0.08
O -2.453 -1.260 2.942  -0.06
O -2.079 2.664 -1.024  -0.04
O -1.126 0.019 -3.531  -0.08
O -3.160 -0.366 -1.825  -0.06
C 1.296 -2.908 -0.895  -0.22
C 0.804 -2.229 0.368  -0.25
C 1.951 -1.891 -1.857  -0.27
C 1.847 -2.063 1.554  -0.08
C 3.355 -2.124 -2.404  -0.10
H -3.196 0.762 0.193  0.01
H -0.023 -2.758 0.862  0.09
H -1.298 2.632 -1.594  0.03
H -2.363 3.584 -0.998  0.07
H -0.168 3.665 2.991  0.04
H -2.728 -0.720 2.172  -0.01
H -3.271 -1.032 -1.117  0.02
H -1.371 -0.835 -3.900  0.06
H 0.468 -1.239 0.133  0.08
H -2.755 -2.016 0.949  0.01
H 1.844 -3.841 -0.810  0.10
H -1.031 3.030 3.976  0.03
H 0.433 -3.421 -1.417  0.11
H 0.601 0.955 -1.913  0.04
H 2.847 -1.785 1.229  0.06
H -1.325 2.180 0.555  0.01
H -3.845 1.164 1.516  0.07
H 2.277 1.727 -2.677  0.02
H 2.486 1.264 0.883  0.00
H -1.364 2.524 2.050  0.02
H 4.098 -1.932 -1.611  0.09
H -3.248 -1.274 3.484  0.06
H 3.536 -1.564 -3.309  0.06
H 1.975 -0.922 -1.320  0.07
H 1.412 -1.318 2.223  0.06
H -2.102 -2.701 -0.333  0.05
H 2.013 -2.962 2.121  0.06
H 0.550 2.306 1.474  0.01
H -0.066 1.429 -3.138  0.03
H 3.100 1.143 -0.437  -0.02
H 1.820 3.220 1.153  0.06
H 3.323 -3.169 -2.725  0.07
H 3.697 1.069 -2.898  0.06
H 1.306 -1.623 -2.684  0.09
H -1.145 0.510 3.790  0.02
H -0.081 0.216 4.781  0.05
H -3.956 0.027 -2.177  0.07
H -1.713 -0.003 -2.734  0.01

Results
Energy above the lowest of the compared OMol25 structures with the same formula, charge and spin = 0.0 kcal per mole
Charge = 0

=====

Record 2
The following is a DFT calculation (ωB97M-V/def2-TZVPD) of 4 unconnected molecules or ions with the total composition C3H10N2O3.

Each line ends with the Löwdin charge.
Positions of all 18 atoms, in Å:
O 1.825 0.849 -1.093  -0.05
O -0.226 -0.502 -2.401  -0.07
O -1.865 -1.595 -0.548  -0.03
N 1.291 0.479 1.779  0.01
N -0.619 -0.355 1.053  0.05
C 0.318 1.444 1.843  -0.17
C -0.878 0.938 1.387  -0.10
C 0.683 -0.592 1.309  -0.23
H 0.527 -0.019 -1.973  0.02
H -2.250 -2.435 -0.829  0.09
H -0.618 0.169 -2.977  0.07
H 0.501 2.446 2.166  0.09
H -1.249 -0.995 0.572  0.02
H -1.301 -1.283 -1.276  0.02
H 1.155 -1.539 1.113  0.12
H -1.832 1.427 1.290  0.11
H 2.765 0.685 -1.278  0.07
H 1.773 0.878 -0.136  0.00

Results
Energy above the lowest of the compared OMol25 structures with the same formula, charge and spin = 10.3 kcal per mole
Structure (SMILES) = c1c[nH]cn1.O.O.O
Charge = 0

=====

Record 3
The following is a DFT calculation (ωB97M-V/def2-TZVPD) of 11 unconnected molecules or ions with the total composition C20H45BF4N5O5.

Each line ends with the Löwdin charge.
*/

To sum up, as soon as an understanding is arrived at as to the policy to be pursued by the United States, the British Government will be prepared to consider in a spirit of co-operation how the existing machinery of blockade, including examination at Halifax, can be modified and replaced by measures which would be enforced by the United States Government in the common interests of the nations associated in the war against Germany. For its part, the British Government defines its policy as a complete stoppage of exports from all Allied European countries to these neutrals with the exceptions noted above; the submission of these exceptions to [Page 931] the informed judgment of the United States Government; and the assumption of identical responsibility with the United States Government in demanding that the border neutrals shall stop exports to Germany, maintain exports to the Allies, put their ships into service and adopt, in all such matters as transit, etc., a policy consonant with the principles of international comity.